by Jeannette Haley
Misplaced crystal structures:
- - -
1.
Density functional theory data (meta-GGA r2SCAN) for RbBiF6 after structural relaxation.

Cell: 5.1351 5.1351 5.1351 Å, 96.82 96.82 96.82°
With the nearest neighbours (Å) after each atom.
Positions (direct):
1 Rb 0.5000 0.5000 0.5000  12 F 2.94-3.12
2 Bi 0.0000 0.0000 0.0000  6 F 2.02
3 F 0.2082 0.9251 0.3368  1 Bi 2.02
4 F 0.9251 0.3368 0.2082  1 Bi 2.02
5 F 0.6632 0.7918 0.0749  1 Bi 2.02
6 F 0.0749 0.6632 0.7918  1 Bi 2.02
7 F 0.7918 0.0749 0.6632  1 Bi 2.02
8 F 0.3368 0.2082 0.9251  1 Bi 2.02

* energy of formation from the pure elements: -226 kJ/mol of atoms
* ρ: 5.13 Mg/m³
* symmetry: R-3
* uncorrected energy: -109.945 eV per cell

=====

2.
Density functional theory data (meta-GGA r2SCAN) for Rb2BiF5 after structural relaxation.

Cell: 6.3100 8.1981 12.5684 Å, 90.00 90.00 90.00°
With the nearest neighbours (Å) after each atom.
Positions (direct):
1 Rb 0.7500 0.5016 0.2669  4 F 2.73-2.79
2 Rb 0.2500 0.4984 0.7331  4 F 2.73-2.79
3 Rb 0.2500 0.9984 0.7669  4 F 2.73-2.79
4 Rb 0.7500 0.0016 0.2331  4 F 2.73-2.79
5 Rb 0.7500 0.8363 0.5839  5 F 2.76-3.02
6 Rb 0.2500 0.1637 0.4161  5 F 2.76-3.02
7 Rb 0.2500 0.6637 0.0839  5 F 2.76-3.02
8 Rb 0.7500 0.3363 0.9161  5 F 2.76-3.02
9 Bi 0.7500 0.8145 0.9350  6 F 2.20-2.34
10 Bi 0.2500 0.1855 0.0650  6 F 2.20-2.34
11 Bi 0.2500 0.6855 0.4350  6 F 2.20-2.34
12 Bi 0.7500 0.3145 0.5650  6 F 2.20-2.34
13 F 0.7500 0.7239 0.1051  1 Bi 2.26
14 F 0.2500 0.2761 0.8949  1 Bi 2.26
15 F 0.2500 0.7761 0.6051  1 Bi 2.26
16 F 0.7500 0.2239 0.3949  1 Bi 2.26
17 F 0.0073 0.6453 0.8924  1 Bi 2.20
18 F 0.9927 0.3547 0.1076  1 Bi 2.20
19 F 0.9927 0.8547 0.3924  1 Bi 2.20
20 F 0.5073 0.3547 0.1076  1 Bi 2.20
21 F 0.0073 0.1453 0.6076  1 Bi 2.20
22 F 0.4927 0.6453 0.8924  1 Bi 2.20
23 F 0.4927 0.1453 0.6076  1 Bi 2.20
24 F 0.5073 0.8547 0.3924  1 Bi 2.20
25 F 0.0000 0.0000 0.0000  2 Bi 2.34
26 F 0.0000 0.5000 0.5000  2 Bi 2.34
27 F 0.5000 0.0000 0.0000  2 Bi 2.34
28 F 0.5000 0.5000 0.5000  2 Bi 2.34
29 F 0.7500 0.9650 0.7868  1 Bi 2.23
30 F 0.2500 0.0350 0.2132  1 Bi 2.23
31 F 0.2500 0.5350 0.2868  1 Bi 2.23
32 F 0.7500 0.4650 0.7132  1 Bi 2.23

* energy of formation from the pure elements: -267 kJ/mol of atoms
* ρ: 4.85 Mg/m³
* symmetry: Pnma
* uncorrected energy: -496.625 eV per cell

=====

3.
Density functional theory data (meta-GGA r2SCAN) for Rb3BiF6 after structural relaxation.

Cell: 6.8696 6.8696 6.8696 Å, 60.00 60.00 60.00°
With the nearest neighbours (Å) after each atom.
Positions (direct):
1 Rb 0.7500 0.7500 0.7500  12 F 3.44
2 Rb 0.2500 0.2500 0.2500  12 F 3.44
3 Rb 0.5000 0.5000 0.5000  6 F 2.61
4 Bi 0.0000 0.0000 0.0000  6 F 2.24
5 F 0.7689 0.2311 0.2311  1 Bi 2.24
6 F 0.2311 0.2311 0.7689  1 Bi 2.24
7 F 0.2311 0.7689 0.7689  1 Bi 2.24
8 F 0.2311 0.7689 0.2311  1 Bi 2.24
9 F 0.7689 0.2311 0.7689  1 Bi 2.24
10 F 0.7689 0.7689 0.2311  1 Bi 2.24

* energy of formation from the pure elements: -265 kJ/mol of atoms
* ρ: 4.20 Mg/m³
* symmetry: Fm-3m
* uncorrected energy: -146.549 eV per cell

=====

4.
- - -
The piece goes on:
Our recent move caused us to suddenly find ourselves blessed with a rather substantial area in which to plant a vegetable garden. Dedicated friends brought a variety of special seeds and drove all the way from the Salt Lake City area to put it in for us. Other local friends pitched in to help. It was quite a day!
The soil in this area is mostly clay. Since the garden was being seeded on the last day of the planting season, there was not ample time to properly prepare the soil. It was bone dry, hard as a rock and difficult to work with. The Bible refers to such soil as fallow ground. This type of dirt not only has to be broken up, but it needs the addition of other key elements such as sand, compost, fertilizer and peat moss. At the time we could only manage to acquire a small amount of compost. It would have to do.
In the spiritual realm, God compares our heart condition to four different types of soil. (See Matthew 13:3-23.) It didn’t take long for me to be totally convinced that our garden consisted of all three undesirable types of soil! If it was watered too much it turned to sticky mud—if watered too little it resembled cement. At this point I was reminded of how difficult it can be to plow up the fallow ground of people’s hard hearts in order to plant the pure seed of the Word of God. Jesus referred to such when He said, “Some fell upon stony places, where they had not much earth: and forthwith they sprung up, because they had no deepness of earth: And when the sun was up, they were scorched: and because they had no root, they withered away” Matthew 13:5-6.
Fearing that our little seeds might not have enough moisture to properly germinate, we over watered the entire works. As might be expected many of the seeds literally drowned out of existence. This is so typical of “over watering” newly planted seeds of truth in the Christian realm. We can easily become over-zealous whenever we do successfully loosen up the fallow ground of a person’s heart. Instead of planting a seed of truth and watering it only as the Holy Spirit leads, it isn’t uncommon to pour out a river of our “great spiritual knowledge” thus “drowning” out the good seed that was originally planted.
Eventually, much to our delight, little rows of green began to appear. Somehow, miraculously, a percentage of the seeds did manage to germinate and pop through the difficult earth. (These are referred to as “overcomers”.) However, at the same time, insidious weeds also began to push their way to the surface. Their appearance seemed to happen overnight! The weeds multiplied rapidly and overtook the baby vegetables to the point one could barely tell them apart. We knew it would be impossible to step in and pull weeds at this point without also uprooting the tiny vegetable plants. This situation reminded me of Jesus admonition in His parable of the wheat and tares (Matthew 13:24-32) where He warned that to gather up the tares would also root up the wheat. They had to grow up together until the harvest. Then, at that time, they would be separated.
Keeping that in mind, and also being otherwise occupied, we did not immediately pull the encroaching weeds. In no time this “enemy” had completely taken over the entire garden spot. The sight of it was discouraging and overwhelming. I thought about how those weeds represent sin in our lives and how easy it is for such to take root and grow if we fail to diligently guard our hearts. (See Proverbs 4:23.) Just as weeds never give up trying to take over a garden, so too, Satan never gives up his agenda to take over the garden of our heart.
Most of us tend to gain wisdom from learning what not to do; likewise, it is the weeds that have supplied me with the most spiritual lessons. For example, weeds can be very good at camouflaging themselves. This type of weed grows very close to the plant, keeping pace with it, and blending in with it. This makes it extremely difficult to detect at first glance. Often these intruders manage to become very large. I liken this to the enemy’s tactic of “planting” false “brethren” within the church. (See Galatians 2:4-5.) Such may put on a good act by which many are deceived for a season, but in the end their evil motives and ungodly agendas are exposed. It is our responsibility to be alert and discerning of those who transform themselves into “ministers of righteousness”, who “corrupt minds” from the “simplicity that is in Christ” and preach “another Jesus”, “another spirit” and “another gospel”. (See 2 Corinthians 11.)
Another devious quality of weeds is their ability to choke out or suffocate the good plants. These remind me of Jesus’ warning in Matthew 13:22, “He also that received seed among the thorns is he that heareth the word; and the care of this world, and the deceitfulness of riches, choke the word and he becometh unfruitful.” These are sobering words and we would do well to heed them by taking stock of our lives before the Lord. How easy it is for us to get caught up with the “care of this world”. Jesus is talking about the every day little duties that you and I perform in the course of normal living. Eventually these “necessary” things take over our time, energy and resources to the point that we are blinded to their overwhelming influence and priority in our lives. Burdened and overwhelmed with a multitude of things that have to be tended to, eventually the Word of God is utterly choked out of our lives. The result is spiritual malnutrition, ineffectiveness and death.
Thistles also grow in this part of the country. These prickly weeds seem to pop up anywhere they please such as in the middle of the lawn, around plants or along cement borders. Their roots are deep and nearly impossible to dig out. They remind me of sins that people don’t want to deal with. After all, they can inflict a painful wound if you rush in and grab them barehanded. It takes both persistence and skill to eradicate this type of problem.
Thistles bring to mind those embittered people who maintain pride and self-righteousness borne upon the carnal wings of their high standards. These people can be the most difficult to deal with. Obviously they need to recognize and repent of their pride and lack of genuine love, compassion and humility. Others give them a wide berth because they are touchy, judgmental and unteachable. Eventually, however, something must be done or they take over the entire landscape. Thistles have to be eradicated wisely. Likewise, God’s word tells us, “Brethren, if a man be overtaken in a fault, ye which are spiritual, restore such an one in the spirit of meekness; considering thyself, lest thou also be tempted” Galatians 6:1.
Finally, there are the amazing morning glory vines that are able to sightlessly locate and climb up the nearest plant. As if guided by some sort of instinct, they reach out, grasping and wrapping themselves around the helpless victim. These stubborn weeds are survivors and fight to the bitter end. Morning glories remind me of “besetting sins” that threaten to gain a stranglehold of the Christian. Sins such as pornography, lust, perversion, complacency, bad habits and spiritual apathy may be compared to the effect that a morning glory has on a plant. Eventually, the desirable plant disappears as the weed completely takes over. Needless to say, this type of takeover in one’s spiritual life leads to utter destruction and ruin as the life of Christ is smothered and suffocated out of existence by carnal desires and appetites.
Our backyard battle doesn’t end with weeds! No indeed! There are enough earwigs and other garden pests to share with the rest of the world. Finding the right type of pest control has been an education in itself. These tyrants remind me of the countless numbers of the demonic host that are assigned to hinder the believer’s progress. Just as our tender plants become riddled with holes from the ravages of the “bug enemies”, so too, Christians must “Be sober, be vigilant; because your adversary the devil, as a roaring lion, walketh about, seeking whom he may devour: Whom resist stedfast in the faith, knowing that the same afflictions are accomplished in your brethren that are in the world” 1 Peter 5:8-9.
In order for the plants to grow and be healthy, they must be properly fed. It has taken some time to learn what certain plants thrive on (and do not thrive on). Fertilizer is essential if a garden is to thrive and bear good “fruit”. As Christians, we know that our spiritual “fertilizer” is the Word of God so that we may grow and mature. Jesus said in Matthew 4:4, “…It is written, Man shall not live by bread alone, but by every word that proceedeth out of the mouth of God.” It is by knowing our authority in Christ and the Word of God that we are able to defeat the lies of the enemy. When plants are strong and healthy, they are better able to withstand the attacks of ravaging pests.
It’s interesting to note how certain plants grow strong and imposing yet yield very little fruit. This reminds me of those in the Christian realm whom, usually with the aid of marketing professionals and/or big backers, become “rich” and “famous”. With so much fanfare and publicity surrounding these “big names” with their “great ministries” the impression is given that scores of people are being born again; however, close examination reveals that very few genuine conversions to Christ are actually made
An experienced gardener knows that the vegetables must be thinned once they become about two inches tall so that they can properly develop. We were so thrilled to see anything come up that, at first, it was hard to reach in between the tiny plants and pull them out. However, failure to do so causes overcrowding and stunts their growth. This reminds me of how God works in the life of His church. While mega churches may appear impressive, needy, hurting individuals are overlooked (or ignored). We refer to this sad situation as “falling through the cracks”. Whether we want to admit it or not, mega churches are run like any other large corporation. While the individual members of such a conglomerate are usually the ones who keep it going with their money and hard work, there is very little, if any, personal one-on-one investment in their lives. Generally speaking, a sheepfold consists of 100 sheep, which is enough for any dedicated shepherd to feed and properly watch over. Thinning the plants also reminds me of how God eventually removes growing Christians from their first teacher(s) so as to sever any dependency upon them rather than God Himself. John the Baptist put it this way (concerning Christ), “He must increase, but I must decrease” John 3:30.Those who truly follow Jesus find that the straight and narrow is often a very lonely place.
We have also discovered that different vegetables need different amounts of water and that they have different rates of growth. So it is with new Christians—each needs personal care and attention if they are to grow to maturity in Christ.
It takes daily diligence to care for this new garden, just as it takes daily diligence to maintain the spiritual life. The Apostle Paul wrote “I die daily”1 Corinthians 15:31. To the Galatians he wrote, “I am crucified with Christ: nevertheless I live; yet not I, but Christ liveth in me: and the life which I now live in the flesh I live by the faith of the Son of God, who loved me, and gave himself for me.”(Chapter 2:20.)
Time and again while working in the garden, that old adage “Many hands make light work” went through my mind. How often we have prayed for laborers to come alongside GSM, to lift our weary arms and work with us in the Lord’s vast harvest field! Through the years we have marveled at how very few truly committed laborers there are! As Christians we need to faithfully work together to bring in the harvest before it is too late. Jesus said, “The harvest truly is great, but the labourers are few: pray ye therefore the Lord of the harvest, that he would send forth labourers into his harvest” Luke 10:2. Some day we will all stand before Jesus. As His eyes search the inner recesses of our soul, we will be required to give an account of how we spent our time, energy and resources. Will you hear the words, “Well done, thou good and faithful servant?”
At last the day came when the first fruits of all our hard labor–two small tomatoes, two zucchinis along with a zipper bag full of tender lettuce thinning—was joyfully brought into the kitchen. My heart swelled with praise to the Lord for His grace and goodness. The scripture came to mind,“He causeth the grass to grow for the cattle, and herb for the service of man: that he may bring forth food out of the earth; And wine that maketh glad the heart of man, and oil to make his face to shine, and bread which strengtheneth man’s heart” Psalm 104:14-15.
There is something about preparing soil, digging in the earth, planting a dead seed and then watching as it bursts forth from its dark grave bringing new life and, eventually, food to be enjoyed by man that brings into sharper focus the death, burial and resurrection of Christ. The miracle of numerous varieties of life-sustaining foods coming forth from the earth to nourish mankind is brought into sharper focus when one raises a garden than just a cursory trip through the grocery store. Somehow God’s tender loving care and bountiful provision produces a deep, abiding sense of awe, wonder and thankfulness.
-- Unrelated to this page: materials data --
- - -
Below is a geometry-optimized MnV2Ru structure, with properties calculated at the PBE-GGA level.

a = 4.1705 Å, b = 4.1705 Å, c = 4.1705 Å
α = 60.00°, β = 60.00°, γ = 60.00°
Element x y z (fractional)
Mn 0.0000 0.0000 0.0000
V 0.2500 0.2500 0.2500
V 0.7500 0.7500 0.7500
Ru 0.5000 0.5000 0.5000

Results
**ΔH_f (0 K)**: -0.254 eV per atom
**Crystal system**: cubic
**V**: 51.3 Å³/f.u.

=====

No. 1
Computed, not measured: a relaxed structure of LiTa2Te4Br10O at the PBE level of DFT.

a = 7.889 Å, b = 9.246 Å, c = 9.977 Å
α = 84.45°, β = 94.19°, γ = 76.18°
Positions (direct):
Br1 0.449 0.186 0.182
Br2 0.760 0.192 0.458
Br3 0.395 0.476 0.809
Br4 0.178 0.542 0.268
Br5 0.832 0.470 0.724
Br6 0.297 0.240 0.518
Br7 0.551 0.818 0.820
Br8 0.225 0.799 0.562
Br9 0.623 0.516 0.199
Br10 0.660 0.784 0.477
Li1 0.439 0.972 0.589
Ta1 0.481 0.370 0.356
Ta2 0.525 0.615 0.637
Te1 0.814 0.088 0.860
Te2 0.079 0.183 0.996
Te3 0.924 0.811 0.011
Te4 0.188 0.906 0.148
O1 0.499 0.497 0.499

E_tot: -4.21 eV per atom
Magnetization: 1.0 μB/f.u.
Calculated volume: 38.88 A^3/atom
Space-group type: No. 1
Energy of formation from the pure elements: -16.87 eV/f.u.
Energy relative to the lowest polymorph listed for this composition: 2.6 meV/atom


No. 2
Computed, not measured: a relaxed structure of LiTa2Te4Br10O at the PBE level of DFT.

a = 7.713 Å, b = 8.882 Å, c = 10.052 Å
α = 86.17°, β = 93.30°, γ = 74.16°
Positions (direct):
Br1 0.163 0.535 0.280
Br2 0.677 0.782 0.492
Br3 0.805 0.192 0.426
Br4 0.609 0.520 0.193
Br5 0.840 0.456 0.727
Br6 0.353 0.200 0.514
Br7 0.210 0.807 0.570
Br8 0.464 0.168 0.172
Br9 0.538 0.832 0.826
Br10 0.397 0.474 0.807
Te1 0.081 0.188 0.988
Te2 0.810 0.103 0.846
Te3 0.898 0.818 0.999
Te4 0.176 0.902 0.143
Ta1 0.518 0.637 0.642
Ta2 0.479 0.372 0.366
Li1 0.802 0.098 0.195
O1 0.503 0.500 0.502

E_tot: -4.19 eV per atom
Magnetization: 1.0 μB/f.u.
Calculated volume: 36.61 A^3/atom
Space-group type: No. 1
Energy of formation from the pure elements: -16.58 eV/f.u.
Energy relative to the lowest polymorph listed for this composition: 18.5 meV/atom


No. 3
Computed, not measured: a relaxed structure of LiTa2Te4Br10O at the PBE level of DFT.

a = 7.916 Å, b = 9.096 Å, c = 9.613 Å
α = 85.46°, β = 95.70°, γ = 79.75°
Positions (direct):
Br1 0.231 0.799 0.540
Br2 0.794 0.479 0.783
Br3 0.500 0.192 0.155
Br4 0.212 0.525 0.253
Br5 0.357 0.204 0.502
Br6 0.800 0.230 0.451
Br7 0.348 0.494 0.802
Br8 0.533 0.834 0.839
Br9 0.694 0.790 0.507
Br10 0.645 0.541 0.195
Te1 0.216 0.908 0.138
Te2 0.833 0.088 0.852
Te3 0.123 0.181 0.980
Te4 0.923 0.819 0.019
Ta1 0.506 0.375 0.368
Ta2 0.513 0.654 0.644
Li1 0.608 0.384 0.983
O1 0.514 0.509 0.507

E_tot: -4.21 eV per atom
Magnetization: 1.0 μB/f.u.
Calculated volume: 37.47 A^3/atom
Space-group type: No. 1
Energy of formation from the pure elements: -16.92 eV/f.u.
Energy relative to the lowest polymorph listed for this composition: 0.0 meV/atom


No. 4
Computed, not measured: a relaxed structure of LiTa2Te4Br10O at the PBE level of DFT.
- - -
-- End of the materials data --
As this short message draws to a close, the question is–what type of soil does the precious seed of the Word of God find in your heart today?